<<<
# Y3Ho7In
Computed X-ray powder pattern, Cu Kα. Input: a cell relaxed with GGA-PBE.
No peak broadening, texture or thermal motion is included.

Structure:
```
data_Y3Ho7In
_chemical_formula_sum 'Y3 Ho7 In1'
_cell_length_a 6.9359
_cell_length_b 6.9359
_cell_length_c 8.4930
_cell_angle_alpha 90.00
_cell_angle_beta 90.00
_cell_angle_gamma 120.00
_space_group_name_H-M_alt 'P 1'
_space_group_IT_number 1
loop_
_space_group_symop_operation_xyz
'x,y,z'
loop_
_atom_site_label
_atom_site_type_symbol
_atom_site_fract_x
_atom_site_fract_y
_atom_site_fract_z
Y1 Y 0.1671 0.3341 0.0000
Y2 Y 0.1671 0.8329 0.0000
Y3 Y 0.6659 0.8329 0.0000
Ho1 Ho 0.0060 0.5030 0.3372
Ho2 Ho 0.3302 0.1651 0.6582
Ho3 Ho 0.3333 0.6667 0.6696
Ho4 Ho 0.4970 0.5030 0.3372
Ho5 Ho 0.4970 0.9940 0.3372
Ho6 Ho 0.8349 0.1651 0.6582
Ho7 Ho 0.8349 0.6698 0.6582
In1 In 0.0000 0.0000 0.3322
```

Peak list (10 most intense, 5 to 70 degrees two-theta, by intensity)
2θ/deg	d_spacing	I (rel.)
31.6	2.831	100
36.6	2.452	52
62.8	1.479	41
52.8	1.734	34
10.4	8.493	19
66.0	1.416	12
29.7	3.003	5
44.0	2.060	3
18.1	4.904	3
20.9	4.246	2

---

# CeGa2Fe2C
Computed X-ray powder pattern, Cu Kα. Input: a cell relaxed with GGA-PBE.
No peak broadening, texture or thermal motion is included.

Structure:
```
data_CeGa2Fe2C
_chemical_formula_sum 'Ce1 Ga2 Fe2 C1'
_cell_length_a 3.9018
_cell_length_b 3.9018
_cell_length_c 5.5792
_cell_angle_alpha 90.00
_cell_angle_beta 90.00
_cell_angle_gamma 90.00
_space_group_name_H-M_alt 'P 1'
_space_group_IT_number 1
loop_
_space_group_symop_operation_xyz
'x,y,z'
loop_
_atom_site_label
_atom_site_type_symbol
_atom_site_fract_x
_atom_site_fract_y
_atom_site_fract_z
Ce1 Ce 0.0000 0.0000 0.0000
Ga1 Ga 0.5000 0.5000 0.2311
Ga2 Ga 0.5000 0.5000 0.7689
Fe1 Fe 0.0000 0.5000 0.5000
Fe2 Fe 0.5000 0.0000 0.5000
C1 C 0.0000 0.0000 0.5000
```

Peak list (10 most intense, 5 to 70 degrees two-theta, by intensity)
2θ/deg	d_spacing	I (rel.)
36.3	2.473	100
39.7	2.269	95
46.6	1.951	60
62.8	1.479	48
27.9	3.197	35
32.5	2.759	31
68.0	1.379	18
54.7	1.679	14
60.0	1.542	12
55.2	1.665	11

---

# SmInPd3
Computed X-ray powder pattern, Cu Kα. Input: a cell relaxed with GGA-PBE.
No peak broadening, texture or thermal motion is included.

Structure:
```
data_SmInPd3
_chemical_formula_sum 'Sm2 In2 Pd6'
_cell_length_a 6.6679
_cell_length_b 6.6679
_cell_length_c 6.6679
_cell_angle_alpha 130.20
_cell_angle_beta 107.87
_cell_angle_gamma 92.73
_space_group_name_H-M_alt 'P 1'
_space_group_IT_number 1
loop_
_space_group_symop_operation_xyz
'x,y,z'
loop_
_atom_site_label
_atom_site_type_symbol
_atom_site_fract_x
_atom_site_fract_y
_atom_site_fract_z
Sm1 Sm 0.2546 0.0046 0.2500
Sm2 Sm 0.7454 0.9954 0.7500
In1 In 0.0000 0.5000 0.5000
In2 In 0.5000 0.5000 0.0000
Pd1 Pd 0.0531 0.3031 0.7500
Pd2 Pd 0.3108 0.0000 0.8108
Pd3 Pd 0.3108 0.5000 0.3108
Pd4 Pd 0.6892 0.0000 0.1892
Pd5 Pd 0.6892 0.5000 0.6892
Pd6 Pd 0.9469 0.6969 0.2500
```

Peak list (10 most intense, 5 to 70 degrees two-theta, by intensity)
2θ/deg	d_spacing	I (rel.)
29.4	3.037	100
40.6	2.220	99
37.5	2.397	77
39.2	2.301	56
35.7	2.517	49
39.5	2.283	37
35.3	2.541	37
62.8	1.480	27
44.3	2.045	26
69.9	1.346	21

---

# Pr3Ni6P5
Computed X-ray powder pattern, Cu Kα. Input: a cell relaxed with GGA-PBE.
No peak broadening, texture or thermal motion is included.

Structure:
```
data_Pr3Ni6P5
_chemical_formula_sum 'Pr6 Ni12 P10'
_cell_length_a 3.8640
_cell_length_b 11.7870
_cell_length_c 9.6635
_cell_angle_alpha 90.00
_cell_angle_beta 90.00
_cell_angle_gamma 90.00
_space_group_name_H-M_alt 'P 1'
_space_group_IT_number 1
loop_
_space_group_symop_operation_xyz
'x,y,z'
loop_
_atom_site_label
_atom_site_type_symbol
_atom_site_fract_x
_atom_site_fract_y
_atom_site_fract_z
Pr1 Pr 0.2500 0.0918 0.2469
Pr2 Pr 0.2500 0.4082 0.2469
Pr3 Pr 0.2500 0.7500 0.2495
Pr4 Pr 0.7500 0.2500 0.7505
Pr5 Pr 0.7500 0.5918 0.7531
Pr6 Pr 0.7500 0.9082 0.7531
Ni1 Ni 0.2500 0.0644 0.8900
Ni2 Ni 0.2500 0.2500 0.0039
Ni3 Ni 0.2500 0.2500 0.5131
Ni4 Ni 0.2500 0.4356 0.8900
>>>

The reader should count the lines above that contain the word "two-theta" and give the number alone.

3